More properly it says “thou shall not murder”.I know that, but the commandment says “thou shall not kill” nonetheless. Are you aware of the 6th commandment?
More properly it says “thou shall not murder”.I know that, but the commandment says “thou shall not kill” nonetheless. Are you aware of the 6th commandment?
# Attached: crystal structures
'''
1.
{"formula": "LiCd2", "functional": "SCAN", "state": "PBEsol geometry", "formation_enthalpy_0k_ev_per_atom": -0.147, "sg": "P-3m1", "total_magnetization_mub_per_fu": 0.000, "cell": [[3.0174, 0.0000, 0.0000], [-1.5087, 2.6132, 0.0000], [0.0000, 0.0000, 7.3063]], "species": ["Li", "Cd", "Cd"], "fractional_positions": [[0.0000, 0.0000, 0.0000], [0.3333, 0.6667, 0.3192], [0.6667, 0.3333, 0.6808]]}



2.
{"formula": "Li5Cd3", "functional": "SCAN", "state": "PBEsol geometry", "formation_enthalpy_0k_ev_per_atom": -0.262, "sg": "Cmmm", "total_magnetization_mub_per_fu": 0.000, "cell": [[3.2706, -4.6103, 0.0000], [3.2706, 4.6103, 0.0000], [0.0000, 0.0000, 4.6025]], "species": ["Li", "Li", "Li", "Li", "Li", "Cd", "Cd", "Cd"], "fractional_positions": [[0.0000, 0.0000, 0.0000], [0.0000, 0.5000, 0.0000], [0.2477, 0.2477, 0.5000], [0.5000, 0.0000, 0.0000], [0.7523, 0.7523, 0.5000], [0.2542, 0.7458, 0.5000], [0.5000, 0.5000, 0.0000], [0.7458, 0.2542, 0.5000]]}



3.
{"formula": "Li2Cd", "functional": "SCAN", "state": "PBEsol geometry", "formation_enthalpy_0k_ev_per_atom": -0.224, "sg": "P-62m", "total_magnetization_mub_per_fu": 0.000, "cell": [[8.0825, 0.0000, 0.0000], [-4.0413, 6.9997, 0.0000], [0.0000, 0.0000, 2.9210]], "species": ["Li", "Li", "Li", "Li", "Li", "Li", "Cd", "Cd", "Cd"], "fractional_positions": [[0.0000, 0.3645, 0.0000], [0.0000, 0.6980, 0.5000], [0.3020, 0.3020, 0.5000], [0.3645, 0.0000, 0.0000], [0.6355, 0.6355, 0.0000], [0.6980, 0.0000, 0.5000], [0.0000, 0.0000, 0.0000], [0.3333, 0.6667, 0.5000], [0.6667, 0.3333, 0.5000]]}



4.
{"formula": "Li2Cd", "functional": "SCAN", "state": "PBEsol geometry", "formation_enthalpy_0k_ev_per_atom": -0.260, "sg": "P6/mmm", "total_magnetization_mub_per_fu": 0.000, "cell": [[4.5868, 0.0000, 0.0000], [-2.2934, 3.9723, 0.0000], [0.0000, 0.0000, 2.8447]], "species": ["Li", "Li", "Cd"], "fractional_positions": [[0.3333, 0.6667, 0.0000], [0.6667, 0.3333, 0.0000], [0.0000, 0.0000, 0.5000]]}



5.
{"formula": "LiCd3", "functional": "SCAN", "state": "PBEsol geometry", "formation_enthalpy_0k_ev_per_atom": -0.136, "sg": "P-6m2", "total_magnetization_mub_per_fu": 0.000, "cell": [[3.0556, 0.0000, 0.0000], [-1.5278, 2.6463, 0.0000], [0.0000, 0.0000, 9.6200]], "species": ["Li", "Cd", "Cd", "Cd"], "fractional_positions": [[0.0000, 0.0000, 0.0000], [0.0000, 0.0000, 0.5000], [0.6667, 0.3333, 0.2346], [0.6667, 0.3333, 0.7654]]}



6.
'''
# The crystal structures stop here
Are you Catholic?According to whom? “Thou shall not kill” seems pretty cut and dry to me.
Yes. So I am surprised by your post.Yes. Are you?
How is this relevant to this conversation?Do you accept the fact of anthropogenic climate change?
Please provide magisterial documents for each claim.The Catholic Church accepts the fact of anthropogenic climate change. Someone who doesn’t accept this fact is going against Catholic teaching. Same with the teachings on vaccines and evolution.
Climate Change: Laudato si' (24 May 2015) | Francis https://catholicclimatecovenant.org/teachingsPlease provide magisterial documents for each claim.
Yes. So I am surprised by your post. "With regards to the fifth commandment (verse thirteen), the more accurate way to render the original language text is, “You shall not murder” rather than “You shall not kill.” There is a Hebrew word for killing and there is a more specific word for murder, and it is the word for murder which appears in the commandment. " http://www.ewtn.com/vexperts/showmessage_print.asp?number=328147&language=en
I gave you a source. Go back to the original Hebrew or check a concordance. Language rendering can sometimes be difficult.The RSV-CE literally says “thou shall not kill”. How am I supposed to read it otherwise?
Ok good.Climate Change: http://w2.vatican.va/content/francesco/en/encyclicals/documents/papa-francesco_20150524_enciclica-laudato-si.html https://catholicclimatecovenant.org/teachings
Vaccines: https://cruxnow.com/vatican/2019/03...ife-encourages-parents-to-vaccinate-children/
Evolution: SS Pius XII - Encyclica. Humani Generis [1950-08-12] Full Text at Documenta Catholica Omnia
Science and Catholicism are not in conflict with each other. Rejecting science is a rejection of God.
We are speaking of divine law, not man made law. Abortion is the intentional murder of an unborn human being and not even debatable.If it’s “murder”, then why are Catholics against abortion, which, at least in the US, is not murder?
Yes. In many cases. Read Dr Mary’s Monkey to see how almost 100 million were vaccinated with the monkey virus and the US government sanctioned it. (and how they were trying to weaponize it) Many vaccines are using fetal cell lines which is against our faith.Are you against encouraging vaccinations?
Yeah, but in the United States, abortion is literally not murder. Divine law doesn’t apply in the US. Do Catholics in the US have to follow the laws of other countries or their own? What happened to “render unto Ceasar”?We are speaking of divine law, not man made law. Abortion is the intentional murder of an unborn human being and not even debatable.